Rice is life. So, when the global rice crisis hit in 2008, it threatened many lives. The year became well remembered for the soaring prices, the long lines in the market, the panic, the blame game, and the social unrest in different countries. A sense of alarm grew when rice, known to be the most “affordable” food for the poor, suddenly became “unaffordable.” It reminded the world of rice’s crucial role in human existence. It also revived interest in agriculture.
Researchers often focus on farming on irrigated, favorable, and accessible farms. But we may fail to realize that many farmers contend with unfavorable areas just so their families can have enough rice to eat and survive. These so-called unfavorable areas are rainfed parcels; uplands; drought-prone, flooded, and submerged farms; farms with saline soils; etc.
For a long time, rice science did not favor investing in unfavorable areas as they were too diverse, complicated, and difficult. Compared with irrigated farms, these topographically, ecologically, and climatically challenged areas provided meager harvests. When the international development community adopted poverty as its flagship challenge, the opportunity came to establish the Consortium for Unfavorable Rice Environments (CURE) in 2002. Fostering cooperation between the national agricultural research and extension systems and the International Rice Research Institute, this initiative involves 10 countries: Bangladesh, Cambodia, India, Indonesia, Lao PDR, Myanmar, Nepal, the Philippines, Thailand, and Vietnam. As CURE focuses its research on the development of less favorable areas, the goal is to provide more food security for the poor families in the marginal and diverse rainfed environments in monsoon South and Southeast Asia, through more sustainable and resilient rice-based production systems.
Using an ecosystems paradigm, the research sites under the CURE project include drought-prone plateau uplands, drought-prone lowlands, salt-affected lowlands, sloping rotational upland systems, the submergence-prone environment, and the intensive upland systems with long growing seasons. The project uses a common approach to examine eight generic themes (germplasm improvement, rice varietal diversity, seeds and seedling management, crop establishment, cropping system enhancement, upscaling activities, patterns of labor use, and food security) across the different sites, but the resulting technologies are specific to each ecosystem.
Among these technologies, the primacy of seeds is the most recurrent. For the Filipino farmers in the Arakan Valley, for example, rice seed security is food security. When they run out of food, the people start to eat their seeds. Hence, they set up a community seed bank.
Through participatory varietal selection, farmers chose seeds among different varieties that performed well in the field compared with the traditional ones. Along with this, CURE introduced the concept of clean and healthy seeds, lower seeding rates, and quality seedlings. Direct-seeding technologies resulted in earlier crop establishment and harvest, less labor, and better weed control. With shorter-duration varieties and time-saving crop establishment, it also became possible to grow nonrice crops for cash and employment.
Anthropologist Stephen Zolvinski observed some of the technologies that resulted from the process. The submergence-tolerance gene known as SUB1A was transferred to Swarna, a popular variety in South Asia (see Scuba rice, stemming the tide in floodprone South Asia). The development of this variety is an example of how modern scientific tools are combined with locally popular varieties to produce improved varieties that are stress tolerant and acceptable to farmers. The SUB1A gene can now be found in Samba-Mahsuri-Sub1, IR64-Sub1, and Swarna-Sub1.
Here the entry breaks off for materials data:
/*
An optimized crystal structure of Mg4ZrPt, computed with PBE.

Lattice parameters (Å, degrees): 5.5133 5.5133 5.5133 60.00 60.00 60.00
Last column: nearest neighbours and their distance in Å.
Atoms (fractional coordinates):
Mg1 0.3748 0.8757 0.3748  6 Mg 2.75-2.76
Mg2 0.3748 0.3748 0.8757  6 Mg 2.75-2.76
Mg3 0.8757 0.3748 0.3748  6 Mg 2.75-2.76
Zr1 0.0000 0.0000 0.0000  12 Mg 3.23, 4 Pt 3.38
Mg4 0.3748 0.3748 0.3748  6 Mg 2.75-2.76
Pt1 0.7500 0.7500 0.7500  12 Mg 3.23, 4 Zr 3.38

Output
ΔH_f (0 K) (eV per atom): 0.083
Density of states at the Fermi level (states/eV per atom): 0.637
Space group: F-43m (216)

~~~~~

Record 1
This record from the Alexandria database describes Tl2ZnP4 after structural relaxation. The functional is PBE-GGA.

a = 6.5678 Å, b = 7.4637 Å, c = 7.3357 Å
α = 90.00°, β = 90.39°, γ = 90.00°
Positions (direct):
Tl (0.1251, 0.0000, 0.0531)
Tl (0.2298, 0.0277, 0.4754)
Tl (0.7702, 0.5277, 0.5246)
Tl (0.8749, 0.5000, 0.9469)
Zn (0.3700, 0.5256, 0.7177)
Zn (0.6300, 0.0256, 0.2823)
P (0.1739, 0.4055, 0.4776)
P (0.3276, 0.3518, 0.9970)
P (0.3412, 0.5239, 0.2484)
P (0.4059, 0.8318, 0.8165)
P (0.5941, 0.3318, 0.1835)
P (0.6588, 0.0239, 0.7516)
P (0.6724, 0.8518, 0.0030)
P (0.8261, 0.9055, 0.5224)

Summary:
Space group: P2_1 (4)
DFT formation energy in eV per formula unit: 0.5
Raw total energy in eV per cell: -54.19


Record 2
This record from the Alexandria database describes DyHo3Te4 after structural relaxation. The functional is PBE-GGA.

a = 9.2859 Å, b = 7.8695 Å, c = 8.2506 Å
α = 90.00°, β = 90.00°, γ = 90.00°
Positions (direct):
Dy (0.0000, 0.1210, 0.0000)
Dy (0.5000, 0.8790, 0.5000)
Ho (0.0000, 0.8413, 0.3673)
Ho (0.2008, 0.7116, 0.9971)
Ho (0.2992, 0.2884, 0.4971)
Ho (0.5000, 0.1587, 0.8673)
Ho (0.7008, 0.2884, 0.4971)
Ho (0.7992, 0.7116, 0.9971)
Te (0.0000, 0.2236, 0.3570)
Te (0.0000, 0.8471, 0.7404)
Te (0.2243, 0.3562, 0.8495)
Te (0.2757, 0.6438, 0.3495)
Te (0.5000, 0.1529, 0.2404)
Te (0.5000, 0.7764, 0.8570)
Te (0.7243, 0.6438, 0.3495)
Te (0.7757, 0.3562, 0.8495)

Summary:
Space group: Pmn2_1 (31)
Raw total energy in eV per cell: -76.72
ΔE_f (raw) in meV per atom: -932
E above lowest polymorph in kJ/mol of atoms: 31.04


Record 3
This record from the Alexandria database describes CdHg6Pb after structural relaxation. The functional is PBE-GGA.

a = 4.5596 Å, b = 4.5596 Å, c = 10.0516 Å
α = 90.00°, β = 90.00°, γ = 90.00°
Positions (direct):
Cd (0.0000, 0.0000, 0.0000)
Hg (0.0000, 0.5000, 0.2415)
Hg (0.0000, 0.5000, 0.7585)
Hg (0.5000, 0.0000, 0.2415)
Hg (0.5000, 0.0000, 0.7585)
Hg (0.5000, 0.5000, 0.0000)
Hg (0.5000, 0.5000, 0.5000)
Pb (0.0000, 0.0000, 0.5000)

Summary:
Space group: P4/mmm (123)
DFT formation energy in eV per formula unit: 0.2
Raw total energy in eV per cell: -6.20


Record 4
This record from the Alexandria database describes Mn2AlAu after structural relaxation. The functional is PBE-GGA.

a = 3.8435 Å, b = 3.8435 Å, c = 8.0842 Å
α = 90.00°, β = 90.00°, γ = 90.00°
Positions (direct):
*/
More importantly, these technologies have helped reduce the number of farmers who migrate to nonfarm jobs during the hunger months.
“If we have enough rice to eat, why would we leave the village?” the farmers said.
In summary, to achieve the goal of rice security, CURE’s general strategy involves early-duration and higher-yielding varieties; improved labor-saving practices; and earlier crop establishment and harvest, which allow a nonrice crop to be sown on time and intensify system productivity, enhance food security, and generate income.
Using science in combination with local practices to meet the challenges of diverse rice environments through a common approach, CURE found the common denominators and made rice security in less favorable areas a realizable goal.
Dr. Gelia T. Castillo is a national scientist of the Philippines and IRRI consultant.